Maia McCormick

Programmer, writer, nerd

Hi, my name is Maia 👋🏻 and I'm a programmer based in New York City. This website is where I (somewhat infrequently) chronicle my journeys through code, as well as other vaguely related adventures.

The Joys of SPARQL: An RDF Query Language

opw sparql tech

I’ve been working with SPARQL a bunch for my OPW project, and found it very slow going at first. SPARQL is apparently one of those little-loved languages that doesn’t have much in the way of tutorials or lay-speak-explanations online—pretty much all I could find were the language’s official docs, where were super technical and near-impossible for a beginner to slog through. Hell, I didn’t even understand what the language did—how could I read the technical specs?

The Best Thing I've Done for My Productivity Lately

But seriously. The best thing I’ve done for my productivity lately (besides blocking Facebook entirely on my work machine) is disabling my Facebook newsfeed (this is a Chrome extension, I’m sure there are various others for other browsers). Facebook is still a time-suck, but not the ENDLESS VORTEX OF DISTRACTION AND OOH A BUZZFEED ARTICLE that it once was. Pretty cool stuff!

Git 301: Changing History

git tech

Congratulations, you’ve made it through Git 101 (init, add, commit, log, status) and its slightly more difficult companion course, Git 201 (branch, checkout, pull).1 Are you ready to pull out the big guns? Here are a handful of commands I’ve been using lately, which I will now write about on the off-chance that they’re useful to someone else. Welcome to Git 301.

Selective Checkouts with checkout -p

Okay, this isn’t really changing history. But it IS a fancy bit of next-level gittery that I’ve found useful as I try to make my git history useful to others and actually move in a logical feature-by-feature progression, instead of reflecting my all-over-the-place, distracted workflow.

OPW: 1 Month In


For anyone who doesn’t know, this past December I started an internship with GNOME as part of OPW, the Outreach Program for Women. The point of this program is to get more women (by which they really mean cis woman and trans folks and genderqueer/genderfluid/agender folks… so basically, people who aren’t cis MEN) involved in the FOSS world. In my particular case, it certainly succeeded! I’d been meaning to do some open source contributing for a while, but had always been too intimidated and overwhelmed to start.

Rules for OPW


Rules and resolutions for myself during OPW:

  • wake up at the same time every day.
  • eat breakfast every day.
  • eat lunch. Seriously, eat lunch.

USB Disk via Terminal

Achievement unlocked: accessing a USB disk via terminal!

Accessing a flash drive from terminal seems like it ought to be simple, but it’s varying degrees of a pain on different OS’s. It also seems like something I should have learned ages ago–especially considering that when I first started terminal-ing, Allison Kaptur’s advice to me was to quit Finder cold-turkey until I could do everything I wanted to do via terminal. Anyway, for anyone who’s a little confused by this, it’s actually pretty easy.

Design Principles From Liz

design recurse center

# Next to the entry, the page also holds calculated molecules
____________
{"formula": "C17H33MnN4Sb", "method": "ωB97M-V with the def2-TZVPD basis set", "s2": 0.826, "total_charge": 2, "homo_lumo_gap_ev": [8.3, 8.4], "fmax_ev_per_a": 1.08, "homo_ev": [-14.66, -14.58], "total_energy_ev": -61968.244, "spin_multiplicity": 2, "elements": ["Mn", "C", "C", "N", "C", "C", "C", "C", "C", "C", "C", "N", "C", "C", "N", "N", "H", "H", "H", "H", "H", "H", "H", "H", "H", "H", "H", "H", "H", "H", "H", "H", "H", "H", "C", "C", "Sb", "C", "C", "C", "C", "H", "H", "H", "H", "H", "H", "H", "H", "H", "H", "H", "H", "H", "H", "H"], "coordinates": [[0.0751, 0.1260, -0.1843], [2.3384, 0.3806, 1.6323], [1.8164, 1.7841, 1.4166], [0.3598, 1.7435, 1.1467], [-0.4726, 1.5614, 2.3585], [-0.7871, 0.1103, 2.5704], [-1.1555, -0.4332, 3.7852], [-1.4593, -1.7859, 3.8410], [-1.3728, -2.5582, 2.6910], [-0.9973, -1.9445, 1.5130], [-0.9057, -2.6428, 0.1906], [-0.0071, -1.9037, -0.7264], [1.3924, -2.3916, -0.7171], [2.1105, -1.8489, 0.4968], [2.0074, -0.3802, 0.4115], [-0.7176, -0.6353, 1.4595], [1.8742, -0.1144, 2.4865], [3.4123, 0.4127, 1.8254], [2.2920, 2.2057, 0.5289], [2.0523, 2.4381, 2.2591], [0.1017, 2.6387, 0.7412], [-1.4135, 2.0946, 2.2051], [0.0006, 2.0022, 3.2381], [-1.2010, 0.1889, 4.6690], [-1.7574, -2.2379, 4.7779], [-1.5914, -3.6174, 2.7083], [-1.9034, -2.6596, -0.2543], [-0.5933, -3.6828, 0.3050], [-0.3688, -2.0414, -1.6659], [1.8728, -2.0008, -1.6157], [1.4409, -3.4818, -0.7646], [3.1454, -2.1970, 0.5010], [1.6590, -2.1752, 1.4348], [2.6418, -0.0707, -0.3203], [0.9572, 1.8872, -5.5752], [1.7484, 1.6988, -4.2845], [0.5414, 1.3429, -2.5768], [-1.3077, 0.4398, -3.2301], [-2.2915, 1.2898, -4.0340], [-0.2463, 3.2663, -2.0345], [-0.4716, 4.2762, -3.1606], [1.6502, 2.0679, -6.3977], [0.2821, 2.7389, -5.5233], [0.3796, 0.9983, -5.8284], [2.3410, 2.5765, -4.0223], [2.4367, 0.8572, -4.3540], [-1.8001, 0.1030, -2.3072], [-1.0347, -0.4714, -3.7702], [-2.6724, 2.1238, -3.4441], [-3.1482, 0.6895, -4.3422], [-1.8368, 1.6957, -4.9348], [0.4564, 3.6820, -1.3064], [-1.1811, 3.0508, -1.5087], [0.4634, 4.5190, -3.6674], [-0.8747, 5.2095, -2.7663], [-1.1714, 3.9058, -3.9076]]}


{"formula": "C4H12N2O", "method": "ωB97M-V with the def2-TZVPD basis set", "total_charge": 0, "homo_lumo_gap_ev": 9.4, "smiles": "CC[C@H](N)N(C)O", "fmax_ev_per_a": 4.90, "homo_ev": -8.46, "total_energy_ev": -9367.423, "spin_multiplicity": 1, "elements": ["C", "C", "C", "N", "N", "C", "O", "H", "H", "H", "H", "H", "H", "H", "H", "H", "H", "H", "H"], "coordinates": [[1.2075, 2.1206, 0.6329], [0.4308, 0.9377, 1.1633], [0.3667, -0.4449, 0.0485], [0.7371, -0.1379, -1.2821], [-0.9864, -0.8344, 0.1853], [-1.1317, -2.3637, -0.5348], [-1.8003, 0.0600, -0.6000], [1.3173, 2.8951, 1.4029], [0.6721, 2.5842, -0.2030], [2.2075, 1.8303, 0.2998], [-0.5641, 1.2643, 1.4740], [0.9122, 0.5102, 2.0482], [1.0442, -1.1715, 0.4979], [0.0118, 0.4096, -1.7304], [1.6877, 0.1905, -1.3849], [-0.3196, -2.6654, -1.1984], [-2.0467, -2.3619, -1.1308], [-1.2118, -3.0605, 0.3000], [-2.5345, 0.2381, 0.0115]]}
____________

The other week, I chatted with the fabulous Liz Starin and picked her aesthetically-enabled brain about fonts and layouts for websites. Below is some stuff I learned from our design adventures, both wisdom straight from her and stuff I picked up from my experience overhauling fonts and layout:

Revisiting My First Python Program

code review recurse center

Back in mid-July, I started at Hacker School, wide-eyed and green and totally freaked out. With only a little bit of Javascript under my belt (and a basically negligible amount of Java, so we’re not even counting that), I decided to teach myself Python, slogged halfway through Zed Shaw’s Learn Python the Hard Way, then went off to go build something, because I work best by getting my hands dirty. For my first Python project, I wrote studentchooser, a little command-line app requested by a teacher friend of mine, who wanted a fair way to call on her students at random (for putting homework problems on the board, etc.). The idea was that, once a student had been selected, it was less likely that they would be selected again, but not impossible—the chance of them being picked subsequently would go down, but they would still be in the running.

So, I made a program to do that! You store a list of students for a given class period in what I called the roster (just a dictionary of students). Each Student object keeps track of the number of times it has been selected and its probability of being selected in the next round, as well as whether or not the student is absent.1 It took me a little more than a week to finish, as I was still muddling through Python as I went, and at the end, I had a working final product! A rough one, but a working one! And then I went off on my merry way, doing more and varied projects and slowly building up my Python chops, getting code review, etc. Somewhere along the way, so gradually I didn’t even realize it, I began to feel competent, like with enough time to think and maybe a little Googling, I could Python my way out of most problems that were thrown at me. And so today, back at Hacker School for Alumni Thursday and itching to write some code (because I’ve been up to my neck in web work for the past few weeks), I opted for a blast from the past, and dived into my very first Python project to poke around, refactor, clean up, and chronicle what I found and what I had learned in the past four months. Here are some findings, accomplishments, and reflections.

Markov Madness, Part 2

recurse center

(If you’re confused, see my previous post on my Markov generator adventures.)

The other thing I got up to today was implementing some sort of (questionable) part-of-speech-based intelligence. The idea was to have a dictionary for parts of speech, in addition to a dictionary of words. Then the work flow would go something like this:

<<<
Entry 1:
Formula: C3H10N3
Source: OMol25
Level of theory: ωB97M-V/def2-TZVPD

Cartesian coordinates (Å):
C1 -0.705 0.158 -0.909
C2 0.356 0.313 -1.973
C3 -1.003 -0.225 1.529
N1 -1.767 0.754 -1.157
N2 -0.248 -0.438 0.368
N3 1.146 -0.199 0.597
H1 1.244 0.834 -1.871
H2 0.725 -0.706 -2.383
H3 -0.061 0.652 -2.898
H4 -0.916 0.872 1.814
H5 -2.034 -0.434 1.448
H6 -0.354 -0.836 2.303
H7 -2.530 0.458 -0.505
H8 1.538 -0.842 1.228
H9 1.404 0.764 0.939
H10 1.635 -0.079 -0.324

Results
SMILES   [H]/N=C(/C)N(C)[NH3+]
LUMO   -3.9549 eV
Charge   +1
Highest occupied orbital energy   -14.25 eV
Frontier orbital gap   0.3783 Eh

---

Entry 2:
Formula: C3H10N3
Source: OMol25
Level of theory: ωB97M-V/def2-TZVPD

Cartesian coordinates (Å):
C1 -0.620 1.308 -0.798
C2 -1.052 1.179 0.662
C3 0.119 0.473 0.168
N1 -0.704 -1.417 0.048
N2 1.326 0.328 0.600
N3 2.391 -0.310 -0.146
H1 -1.246 0.973 -1.627
H2 -0.054 2.066 -1.191
H3 -0.785 2.085 1.351
H4 -1.971 0.661 1.025
H5 -1.466 -1.600 -0.508
H6 -1.073 -1.709 1.013
H7 1.421 0.131 1.648
H8 3.302 0.105 -0.083
H9 0.049 -1.901 -0.241
H10 2.266 -0.391 -1.105

Results
LUMO   -3.2893 eV
Charge   +1
Highest occupied orbital energy   -13.90 eV
Frontier orbital gap   0.3900 Eh

---

Entry 3:
Formula: C3H10N3
Source: OMol25
Level of theory: ωB97M-V/def2-TZVPD

Cartesian coordinates (Å):
C1 -1.816 2.366 0.491
C2 -1.171 0.024 0.859
C3 -0.834 1.528 0.681
N1 -1.335 -0.244 -0.467
N2 -0.378 -0.558 -1.190
N3 2.027 -1.587 -0.533
H1 -1.723 3.417 0.403
H2 -2.809 2.005 0.441
H3 -0.297 -0.343 1.246
H4 -2.118 0.071 1.284
H5 0.173 1.993 0.524
H6 0.602 -0.662 -1.056
H7 -0.708 -0.586 -2.215
H8 2.713 -1.822 -1.262
H9 1.621 -2.437 -0.094
H10 2.549 -1.100 0.174

Results
LUMO   -5.1904 eV
Charge   +1
Highest occupied orbital energy   -14.65 eV
Frontier orbital gap   0.3475 Eh

---

Entry 4:
Formula: C3H10N3O
Source: OMol25
Level of theory: ωB97M-V/def2-TZVPD

Cartesian coordinates (Å):
C1 0.063 -1.717 -0.063
C2 0.614 -0.716 -1.145
C3 0.402 1.486 0.318
N1 -0.653 1.003 0.750
N2 1.050 2.655 0.464
N3 -1.365 -1.378 0.191
O1 1.115 0.600 -0.696
H1 0.264 -2.690 -0.352
H2 0.662 -1.709 0.882
H3 1.573 -1.039 -1.657
H4 -0.221 -0.612 -1.851
H5 -1.126 -0.118 0.388
H6 -1.210 1.380 1.517
H7 0.698 3.530 0.882
H8 1.963 2.715 0.000
H9 -1.947 -1.521 -0.683
H10 -1.883 -1.871 1.056

Results
LUMO   -2.8040 eV
Charge   +1
Highest occupied orbital energy   -14.76 eV
Frontier orbital gap   0.4394 Eh

---

Entry 5:
Formula: C3H10N3O
Source: OMol25
Level of theory: ωB97M-V/def2-TZVPD

Cartesian coordinates (Å):
C1 1.640 -0.433 -0.033
C2 -1.785 0.802 0.159
C3 -1.408 -0.170 -0.950
N1 2.554 -0.280 -0.939
N2 -0.670 -1.318 -0.601
N3 1.734 -0.104 1.220
O1 -0.947 -1.781 0.615
H1 -2.512 1.518 -0.207
H2 -2.217 0.272 1.005
H3 -0.900 1.342 0.491
H4 -2.335 -0.599 -1.370
H5 -0.891 0.309 -1.784
H6 2.391 -0.578 -1.888
H7 3.468 0.120 -0.729
H8 2.573 0.306 1.629
H9 0.967 -0.278 1.853
H10 -0.569 -2.678 0.691

Results
LUMO (spin up / spin down)   -4.7374 / -5.7187 eV
Charge   +1
>>>

  1. start with a random seed
  2. what part of speech should come next? Given the POS’s we already have, pick at random one that might follow it.
  3. given the words we have, pick a word that might follow of the correct part of speech. If none exists, repeat from step 2.

Now, using word trigrams and POS trigrams, the above process doesn’t really add much beyond what using plain ‘ol word trigrams gets you. Could I make something better, though, by using, say, 4-grams or 5-grams of parts of speech?

Markov Madness, Part 1

recurse center

Man, I’ve hardly written code in three whole weeks! Such a strange feelings, after 3 solid months of coding. Anyway, back at Hacker School for the day, and with my OPW application in, I’ve been itching to actually write some code, so I revisited my old Markov generator project, which takes a training corpus and generates psuedo-random texts in the style of that corpus.